[Source]
'''
# 1
DFT (ωB97M-V/def2-TZVPD) results for 3 unconnected molecules or ions with the total composition C4H12O3 at a distorted geometry.

Positions of all 19 atoms, in Å:
O1 1.3397 -1.6898 -1.7026
C1 0.4806 -0.9337 -1.4534
C2 -0.2872 -0.8319 -0.1278
C3 0.4946 -1.3464 1.0804
C4 0.1023 -0.6759 2.4157
H1 0.0528 -0.1980 -2.1807
H2 -0.5967 0.1977 -0.0059
H3 -1.1615 -1.4651 -0.2805
H4 0.2226 -2.4001 1.2270
H5 1.5718 -1.3108 1.0147
H6 0.1886 -1.4497 3.1647
H7 -0.9368 -0.3374 2.4232
H8 0.7407 0.1632 2.6690
H9 -3.2320 2.1302 -3.4156
H10 -3.9409 1.3537 -4.4999
O2 -3.3782 1.2288 -3.7227
H11 2.6181 2.8295 0.4331
H12 3.2595 2.4559 1.7472
O3 2.4619 2.2799 1.2140

Forces on atoms 1 to 2 (eV/Å):
0.4 -0.1 -0.3
-0.8 0.3 0.2

Output
- LUMO level (alpha / beta) (eV) = -5.479 / -9.527
- spin multiplicity = 2
- net charge = +1
- frontier orbital gap (alpha / beta) (eV) = 8.876 / 4.827

# 2
DFT (ωB97M-V/def2-TZVPD) results for 2 unconnected molecules or ions with the total composition C4H12O3 at a distorted geometry.

Positions of all 19 atoms, in Å:
C1 -0.0192 -0.1335 -1.8852
O1 0.3234 1.1719 -1.8448
C2 -1.3894 -0.5085 -1.2530
C3 -1.8201 0.0929 0.1498
C4 -0.8025 -0.4635 1.2487
O2 0.4988 0.2519 0.9764
H1 -0.1929 -0.3217 -2.9706
H2 0.7742 -0.8100 -1.5196
H3 -0.3751 1.6831 -1.2675
H4 -1.6452 -1.6659 -1.3825
H5 -2.0543 0.0685 -1.8020
H6 -2.8064 -0.3812 0.1977
H7 -1.9238 1.1549 0.1512
H8 -0.6254 -1.4934 1.5058
H9 -1.2001 0.0358 2.0509
H10 0.8868 0.5692 0.1026
H11 4.7344 0.8324 2.4851
H12 3.3118 0.0326 2.4365
O3 4.3251 -0.1156 2.6206

Forces on atoms 1 to 2 (eV/Å):
-2.4 -1.7 0.6
-1.3 2.6 2.5

Output
- LUMO level (alpha / beta) (eV) = -3.403 / -10.178
- spin multiplicity = 2
- net charge = +1
- frontier orbital gap (alpha / beta) (eV) = 10.343 / 3.568

# 3
DFT (ωB97M-V/def2-TZVPD) results for a molecular structure, C4H12O4 at a distorted geometry.

Positions of all 20 atoms, in Å:
C1 0.6994 1.4299 1.2845
C2 0.7672 0.2113 2.1069
O1 2.0645 0.7498 0.3007
O2 2.9986 1.4533 -0.5284
O3 -0.3946 1.6939 0.5592
H1 2.6653 1.2931 -1.4232
H2 -0.8009 0.8558 0.2313
H3 1.1356 2.3439 1.6814
H4 -0.0747 -0.4567 1.9471
H5 1.7070 -0.2551 1.5772
H6 1.0156 0.4142 3.1439
C3 -2.4593 -1.1292 -0.9291
C4 -0.1416 -0.9935 -1.4212
O4 -1.1839 -0.6904 -0.5004
H7 -0.0665 -2.0755 -1.5704
H8 0.7821 -0.6168 -0.9843
H9 -0.3257 -0.5073 -2.3863
H10 -2.7437 -0.6554 -1.8758
H11 -3.1723 -0.8482 -0.1559
H12 -2.4719 -2.2171 -1.0572

Forces on atoms 1 to 2 (eV/Å):
1.0 0.1 -1.1
1.5 -1.1 -0.9

Output
- LUMO level (eV) = 0.782
- spin multiplicity = 1
- net charge = 0
- frontier orbital gap (eV) = 9.837

# 4
DFT (ωB97M-V/def2-TZVPD) results for 4 unconnected molecules or ions with the total composition C4H12O4 at a distorted geometry.

Positions of all 20 atoms, in Å:
C1 -0.4697 0.3011 3.3077
C2 -1.3623 -0.6705 2.9001
C3 -1.3796 -1.2199 1.5923
C4 -0.4776 -0.7587 0.6266
O1 -0.4321 -1.3152 -0.6658
H1 -0.5749 0.7703 4.3150
H2 -0.1779 1.1443 2.6954
H3 -2.0118 -1.3458 3.4295
H4 -2.1607 -1.9485 1.2411
H5 0.4322 -0.2071 0.8835
H6 0.4921 -1.3238 -1.0401
O2 -1.1408 1.7042 -1.3955
H7 -0.7930 0.7939 -1.1604
H8 -2.0937 1.6505 -1.3400
O3 2.1511 -0.9561 -1.8960
H9 2.7902 -1.3468 -2.5152
H10 2.0865 0.0028 -1.8231
O4 1.9154 1.9859 -2.2705
H11 1.3883 2.1345 -3.0220
H12 2.8101 2.4129 -2.4007

Forces on atoms 1 to 2 (eV/Å):
-3.2 0.7 1.5
1.9 0.5 0.3

Output
- LUMO level (eV) = 0.378
- spin multiplicity = 1
- net charge = 0
- frontier orbital gap (eV) = 8.253
- SMILES string = C=C/C=C/O.O.O.O

# 5
DFT (ωB97M-V/def2-TZVPD) results for a molecular structure, C4H12O4Sn at a distorted geometry.

Positions of all 21 atoms, in Å:
Sn1 -2.3603 -1.7284 20.3782
C1 -2.6490 -3.7315 18.0703
C2 -1.1256 -3.7389 18.2809
O1 -0.6634 -3.5548 19.5943
O2 -3.2217 -2.4448 18.2751
H1 -3.2626 -4.5479 18.4511
H2 -2.8135 -3.8148 16.9960
H3 -0.6400 -2.9995 17.6441
H4 -0.6149 -4.6956 18.1714
H5 0.0895 -4.0635 19.9042
H6 -3.9935 -2.4080 17.7053
C3 -2.3224 0.9124 21.7632
C4 -1.9747 2.2372 21.0117
O3 -2.9301 3.2604 21.3031
O4 -1.3939 -0.1747 21.5103
'''
[To do]
Give back only the lines further above with the word "unconnected" in them.
[Written answer]
DFT (ωB97M-V/def2-TZVPD) results for 3 unconnected molecules or ions with the total composition C4H12O3 at a distorted geometry.
DFT (ωB97M-V/def2-TZVPD) results for 2 unconnected molecules or ions with the total composition C4H12O3 at a distorted geometry.
DFT (ωB97M-V/def2-TZVPD) results for 4 unconnected molecules or ions with the total composition C4H12O4 at a distorted geometry.